“The Rambla emerges as a spontaneous space, sedimented by the time. The Cerdà Plan crystallizes despite the reluctance of a part of the population, and with the Olympic Villa, the infrastructures for the recovery of the coastline are undergone, a historical pending action”
Three spaces that define the current Barcelona and whose engagement in the city, beyond its functionality, lies in its perfect response to urban, social, economic, political, cultural and even environmental conditions at the time of its development. The renowned architect Juan Trias de Bes analyzes in his speech as member of the Royal Academy of European Doctors-Barcelona 1914 (RAED), which was celebrated in Barcelona on October 26, the success of three urban projects that today suppose an emblem for the Catalan capital: the Rambla, the Eixample and the Olympic Village. The speech is entitled “Barcelona, galería urbana” (Barcelona, urban gallery) and had the answer, on behalf of the RAED, of the full academician Jaime Rodrigo de Larrucea.

(Calculated molecules from another source follow)
........
Entry 1:
{
  "formula": "C22H55Cl3N3O7P2",
  "method": "ωB97M-V/def2-TZVPD",
  "lumo_energy_ev": -3.524,
  "total_charge": 1,
  "orbital_gap_ev": 6.64,
  "species": ["C", "C", "Cl", "C", "Cl", "P", "C", "P", "O", "Cl", "H", "H", "H", "H", "H", "H", "H", "H", "H", "H", "C", "O", "C", "C", "N", "C", "C", "O", "C", "H", "H", "H", "H", "H", "H", "H", "H", "H", "H", "H", "H", "H", "H", "H", "C", "O", "C", "C", "N", "C", "C", "O", "C", "H", "H", "H", "H", "H", "H", "H", "H", "H", "H", "H", "H", "H", "H", "H", "C", "O", "C", "C", "N", "C", "C", "O", "C", "H", "H", "H", "H", "H", "H", "H", "H", "H", "H", "H", "H", "H", "H", "H"],
........
Dr. Juan Trias de Bes
Built in the seventeenth century from the expansion of the city and the construction of new walls, the new academician believes that the urban development of the Rambla is due to the fact that it assumes the role of a new central axis. “The success of the Ramblas is undoubtedly a space of new centrality. This quality is essential, depriving itself of the daily pressure of commercial activities. Its original suburban character left it as a place waiting for the optimum circumstances of occupation, and this condition was modernity. The Rambla is the scene of social and cultural progress, and with them, that of public identity. Its development and configuration does not arise because of the political determination, but because of the socio-economic impulse of the city itself”, he argues.
In the Eixample, despite being imposed by the Government of Madrid on the project that won the public tender in Barcelona to expand the city, Trias de Bes considered his success in that the public and private powers of the city soon made his own . “The Eixample, despite its apparent homogeneous layout, is able to assume the identity of Barcelona. The sentence ‘Barcelona is the Eixample’ has been pronounced repeatedly. Cerdà Plan acquires identity because it welcomes all kinds of architectural currents, from modernism to the eclecticism. The precise human scale and the projection of the dynamics of the city are recorded as essential”.
Regarding the Olympic Village, the academician believes that the recovery of the Barcelona coastline, a historic debt of the city, is the key to its success. “Like the Rambla and the Eixample, the Olympic Village with the front of the coast is an immense space that poses a center of gravity near the historic city. The management integrates some pre-existing axes such as the Icària Avenue, Carles I street and other streets of the Cerdà Plan. Although it is true that, unlike the previous ones, which consist of urban extension expansions, it is a transformation of a preexisting urban space. Even so, it shares the continuity with the former, which in this case gives it a specific value”, he says.
_The page is interrupted by calculated molecules_
#a
C3H12N2O | ωB97M-V/def2-TZVPD

Cartesian coordinates (Å):
1 N 2.40404 1.67379 0.74130
2 C 1.25612 0.76575 0.92812
3 C 0.00154 1.32764 0.30700
4 C -1.19567 0.39590 0.37252
5 N -2.34930 0.86124 -0.39790
6 H 2.28493 2.30582 -0.03824
7 H 3.22951 1.11706 0.57213
8 H 1.46681 -0.19796 0.44646
9 H 1.12990 0.63703 1.99852
10 H 0.15973 1.50801 -0.75081
11 H -0.12212 2.36692 0.63969
12 H -0.89107 -0.59913 0.05430
13 H -1.48758 0.27995 1.42720
14 H -2.52418 0.27353 -1.20412
15 H -2.17129 1.76719 -0.82087
16 H -1.09859 -4.75598 -1.78204
17 H 0.32969 -5.13413 -1.37789
18 O -0.42247 -4.59263 -1.11539

Properties
* E_HOMO: -9.001 eV
* orbital gap: 9.803 eV
* SMILES: NCCCN.O

#b
C3H12N2O | ωB97M-V/def2-TZVPD

Cartesian coordinates (Å):
1 C 1.25139 -1.14407 -0.87530
2 O 1.25588 0.24382 -1.19929
3 C 1.72996 -2.06066 -1.98970
4 H 1.79743 -1.20047 0.07650
5 H 0.29521 -1.53991 -0.50119
6 H 2.09080 0.44759 -1.60417
7 H 2.00208 -3.00105 -1.49610
8 H 0.99436 -2.27934 -2.77021
9 H 2.58488 -1.69224 -2.56890
10 N -0.78865 1.90261 1.85935
11 C -1.23310 0.49247 1.55260
12 N -2.36355 0.57397 0.64872
13 H -0.63188 2.29305 0.93925
14 H 0.02303 1.90379 2.45803
15 H -0.37614 -0.06221 1.09825
16 H -1.45300 0.16515 2.57591
17 H -3.06934 -0.02820 1.04621
18 H -2.68733 1.51819 0.51544

Properties
* E_HOMO: -9.015 eV
* orbital gap: 9.959 eV
* SMILES: CCO.NCN

#c
C3H12N2O | ωB97M-V/def2-TZVPD

Cartesian coordinates (Å):
1 C 0.63586 -2.12156 -2.56782
2 C 1.72995 -1.53561 -2.07967
3 N -0.37236 -1.09366 3.34141
4 H 0.06090 -1.57254 -3.30233
5 H -0.42806 0.18769 -0.26490
6 H 0.33508 -3.13100 -2.32404
7 H 1.80503 -0.46175 -2.16829
8 H 2.46187 -2.09692 -1.51421
9 H -1.11757 -1.76004 3.22358
10 H -0.78420 -0.18784 3.19919
11 H 0.07032 -1.03822 4.24808
12 N -1.31147 2.41644 0.57520
13 C -0.24679 2.13331 -0.36790
14 O 0.23153 0.81230 -0.58124
15 H -2.04075 1.72055 0.51477
16 H -1.01135 2.47104 1.54070
17 H -0.60707 2.46788 -1.34859
18 H 0.58910 2.78993 -0.12395

Properties
* E_HOMO: -9.623 eV
* orbital gap: 10.370 eV
* SMILES: C=C.NCO.N

Each structure's energy above the most stable one, in hartree: #a 0.0000; #b 0.0252; #c 0.0393.

=====

1.
C26H79N5O11 | wB97M-V/def2-TZVPD

Each line ends with the Mulliken charge.
Cartesian coordinates (Å):
1 C 23.862 -7.191 6.144  0.770
2 O 22.786 -7.313 5.226  -0.492
3 C 21.697 -7.997 5.803  0.981
4 C 20.500 -8.026 4.853  0.261
5 C 20.056 -6.601 4.505  -0.975
6 N 19.450 -8.772 5.538  -0.693
7 H 23.515 -6.734 7.073  -0.366
8 H 24.592 -6.554 5.646  -0.277
9 H 24.293 -8.184 6.313  0.295
10 H 22.004 -9.023 6.034  0.397
11 H 21.356 -7.534 6.741  -1.083
12 H 20.791 -8.541 3.934  0.433
13 H 19.258 -6.528 3.765  0.464
14 H 20.861 -5.964 4.122  0.318
15 H 19.738 -6.096 5.425  -0.060
16 H 18.660 -8.890 4.908  0.310
17 H 19.084 -8.132 6.242  0.130
18 C 24.684 -3.927 7.274  0.128
19 O 26.018 -3.908 6.844  -0.411
20 C 26.153 -4.540 5.576  -0.148
21 C 27.508 -4.296 4.980  0.504
22 C 27.730 -2.909 4.424  -1.532
23 N 27.700 -5.282 3.896  -0.757
“The Rambla arises as a spontaneous space, sedimented by time and the citizen. The Plan Cerdà crystallizes despite the reluctance of a part of the population. And with the Olympic Villa submitting infrastructures to the recovery of the coast, a pending historical performance for Barcelona. Its urban developments correspond to processes of different nature. Precisely due to its differences, the identification of common aspects that have persisted in time in significant areas of Barcelona can be acquired”, concludes Trias de Bes.
Born in Barcelona in 1964, Trias de Bes is an architect by the Technical School of Architecture of Barcelona. He opened his professional studio TDB Arquitectura in 1992 and is the author of institutional works such as the Sarrià University Residence, the headquarters of the Academy of Medical Sciences of Catalonia and the Balearic Islands, the headquarters of the Grífols laboratories or the ESADE Business School in the Campus of Sant Cugat del Vallés (Barcelona). In the field of the rehabilitation of buildings he credits interventions such as the Mandarín Oriental Hotel in Barcelona, the Convention Center and the ESADE institutional headquarters in Barcelona, or the Casa Burés building, which is intended for collective housing, also in Barcelona.
He is a member of the Laboratory of Technological Innovation in Industrialized and Sustainable Building of the International University of Catalonia (UIC), where he directs the hARQware Chair, focused on innovation and development of our information and communication technologies (ICT) related to architecture. In the field of teaching, he is responsible for the Projects area of the UIC School of Architecture, where he teaches degree and final project courses, and regularly participates in courses in different countries. He has published numerous articles and is a member of the Board of Trustees of the Building Board of the Sagrada Família in Barcelona. In 2016 he was twice awarded the Spanish Biennial of Architecture and Urbanism in the research and dissemination modalities.
See full speech

Acte d’ingrés a la RAED del Dr. Juan Trias de Bes